Testing Times: The Biggest Cause Of Driving Test Failures

There is always going to be an element of panic when it comes to taking your driving test. Taking a test of any kind is inherently stressful, but one that will give you a passport to the open road and freedom like you have never known before? That’s a whole new level of nerves.

So you find yourself sitting waiting for your test, wondering how you’re possibly going to be able to grasp the steering wheel given that your palms are sweating. It feels like the nerves are going to make or break you; that because of how uncomfortable you are, failure is imminent. It doesn’t matter if it’s your first test or your fifth – nothing will ever quite stem those feelings of concern.

If you’ve been thinking about the nerves you will inevitably face for your upcoming test, you’ve probably fallen over plenty of advice telling you how to control those nerves. While an element of calming yourself down is a good thing, there has to be the question: what if the nerves are helping rather than hindering you?

Overconfidence Will Fail You Every Time

Next to the page, the page also holds data records:
'''
## CdSi2Pd7 (PBE)

Data for a relaxed CdSi2Pd7 crystal.

electronic total energy = -50.4 eV per cell
SG = Cmmm
energy relative to the elements, uncorrected = -0.228 eV/atom

Cell and atoms, written as POSCAR:
```
CdSi2Pd7
1.0
-3.437 2.599 0.888
-3.880 -3.641 -4.359
0.035 -2.183 6.523
Pd Si Cd
7 2 1
Direct
0.500 0.500 0.500
0.000 0.238 0.762
0.500 0.936 0.680
0.000 0.762 0.238
0.500 0.064 0.320
0.500 0.680 0.936
0.500 0.320 0.064
0.500 0.699 0.301
0.500 0.301 0.699
0.000 0.000 0.000
```

## Cs3Pd2S4 (PBE)

Data for a relaxed Cs3Pd2S4 crystal.

electronic total energy = -70.3 eV per cell
SG = C2/c
energy relative to the elements, uncorrected = -0.632 eV/atom

Cell and atoms, written as POSCAR:
```
Cs3Pd2S4
1.0
7.173 0.324 0.232
0.819 9.191 -0.279
0.819 2.697 8.790
S Pd Cs
8 4 6
Direct
0.536 0.076 0.658
0.360 0.650 0.734
0.860 0.734 0.650
0.964 0.342 0.924
0.464 0.924 0.342
0.140 0.266 0.350
0.036 0.658 0.076
0.640 0.350 0.266
0.049 0.589 0.844
0.451 0.156 0.411
0.549 0.844 0.589
0.951 0.411 0.156
0.440 0.271 0.987
0.750 0.418 0.582
0.560 0.729 0.013
0.060 0.013 0.729
0.940 0.987 0.271
0.250 0.582 0.418
```

## Na2TePtO6 (PBE)

Data for a relaxed Na2TePtO6 crystal.

electronic total energy = -50.3 eV per cell
SG = P4mm
energy relative to the elements, uncorrected = -0.873 eV/atom

Cell and atoms, written as POSCAR:
```
Na2TePtO6
1.0
-1.275 -0.244 3.757
1.554 -5.403 0.176
5.096 1.525 1.829
Na O Pt Te
2 6 1 1
Direct
0.093 0.000 0.500
0.093 0.500 0.000
0.676 0.756 0.756
0.676 0.244 0.756
0.141 0.500 0.500
0.676 0.756 0.244
0.676 0.244 0.244
0.145 0.000 0.000
0.637 0.500 0.500
0.636 0.000 0.000
```

## LiSnI2 (PBE)

Data for a relaxed LiSnI2 crystal.

electronic total energy = -11.1 eV per cell
SG = R-3m
energy relative to the elements, uncorrected = -0.526 eV/atom

Cell and atoms, written as POSCAR:
```
LiSnI2
1.0
-2.967 -2.640 -0.987
0.296 -2.225 -3.422
3.571 -8.438 3.348
Sn I Li
1 2 1
Direct
0.000 0.000 0.000
0.107 0.107 0.678
0.893 0.893 0.322
0.500 0.500 0.500
```

## Hg3Ru5 (PBE)

Data for a relaxed Hg3Ru5 crystal.

energy of formation = 693 meV/atom
electronic total energy = -41.7 eV per cell
SG = Cmmm

Cell and atoms, written as POSCAR:
```
Hg3Ru5
1.0
4.037 -4.088 0.000
4.037 4.088 0.000
0.000 0.000 3.980
Ru Hg
5 3
Direct
0.000 0.500 0.000
0.000 0.000 0.000
0.766 0.766 0.500
0.500 0.000 0.000
0.234 0.234 0.500
0.752 0.248 0.500
0.500 0.500 0.000
0.248 0.752 0.500
```

## Li2ZrIn (PBE)

Data for a relaxed Li2ZrIn crystal.

energy of formation = 49 meV/atom
electronic total energy = -14.9 eV per cell
SG = P4/mmm

Cell and atoms, written as POSCAR:
```
Li2ZrIn
1.0
3.016 0.000 0.000
0.000 3.016 0.000
0.000 0.000 8.644
Li Zr In
2 1 1
Direct
0.000 0.000 0.523
0.000 0.000 0.977
0.500 0.500 0.250
0.500 0.500 0.750
```

## KSb2Se (PBE)

Data for a relaxed KSb2Se crystal.

electronic total energy = -13.4 eV per cell
SG = Pmmm
energy relative to the elements, uncorrected = -0.149 eV/atom

Cell and atoms, written as POSCAR:
```
KSb2Se
1.0
6.171 0.000 0.000
'''
Back to the page:

It’s not nerves that are the most damaging way to approach your driving test. In fact, they’re the exact opposite. The biggest issue for those embarking on their test is that they become overconfident to the point of being cocky and arrogant.

Strolling into a test center as if you already know it all, your eye already on a personalized number plate from Absolute Reg, and plans for your first road trip… it’s not going to end well. Not only does it signal to your examiner that you are overconfident (which may put them on their guard, as they know to see this as a bad sign), but it also means you’re more liable to make errors. There is a point where confidence translates to hubris and if you reach that point, failure is imminent.

Being Anxious Can Be Helpful

Attached: crystal structures.
- - -
(1)
Computed, not measured: MgCuAu2 after structural relaxation at the PBE level of DFT.

Values from the calculation:
DFT formation energy = -0.15 eV/atom
uncorrected energy = -3.22 eV per atom

Cell: 8.718 8.718 8.718 Å, 20.06 20.06 20.06°
Positions (direct):
Au 0.997 0.997 0.997
Au 0.503 0.503 0.503
Cu 0.250 0.250 0.250
Mg 0.750 0.750 0.750

---

(2)
Computed, not measured: Ba8Bi3I4Br after structural relaxation at the PBE level of DFT.

Values from the calculation:
ΔE_f (raw) = -1351 meV/atom
uncorrected energy = -3.53 eV per atom

Cell: 10.130 10.110 10.131 Å, 120.07 120.00 90.00°
Positions (direct):
Ba 0.246 0.729 0.983
Ba 0.246 0.729 0.493
Ba 0.257 0.272 0.514
Ba 0.736 0.729 0.983
Ba 0.264 0.271 0.017
Ba 0.743 0.728 0.486
Ba 0.754 0.271 0.507
Ba 0.754 0.271 0.017
Bi 0.500 0.500 0.000
Bi 0.500 0.500 0.500
Bi 0.000 0.500 0.500
I 0.500 0.000 0.000
I 0.500 0.000 0.500
I 0.000 0.000 0.000
I 0.000 0.000 0.500
Br 0.000 0.500 0.000

---

Values for volume, A^3/atom, ordered as above
17.05; 45.81

~~~~~

The following is a DFT calculation (PBE) of a geometry-optimized PrTh3Al8 structure.

The structure belongs to space group R3m (No. 160, hexagonal axes); the cell edges are 5.7134, 5.7134 and 27.8747 Å and the angles 90.00°, 90.00° and 120.00°. Symmetry generates all atoms from Pr at (0.0000, 0.0000, 0.0000), Th at (0.0000, 0.0000, 0.1254), Th at (0.0000, 0.0000, 0.5001), Th at (0.0000, 0.0000, 0.6250), Al at (0.0000, 0.0000, 0.3126), Al at (0.0000, 0.0000, 0.8124), Al at (0.9995, 0.4998, 0.0631) and Al at (0.1672, 0.3345, 0.8956).

Its total magnetization is 0.0 μB per cell. For the total energy, the calculation gives -0.3803 Ry/atom. As for the energy relative to the elements: -9.81 kcal/mol of atoms.

The following is a DFT calculation (PBE) of a geometry-optimized ScReOs2 structure.

The structure belongs to space group P4mm (No. 99); the cell edges are 2.782, 2.782 and 8.204 Å and the angles 90.00°, 90.00° and 90.00°. Symmetry generates all atoms from Sc at (0.000, 0.000, 0.000), Re at (0.500, 0.500, 0.723), Os at (0.000, 0.000, 0.487) and Os at (0.500, 0.500, 0.268).

Its total magnetization is 0.0 μB per cell. For the total energy, the calculation gives -0.7531 Ry/atom. As for the energy relative to the elements: 1.46 kcal/mol of atoms.

The following is a DFT calculation (PBE) of a geometry-optimized LiErTl2 structure.

The structure belongs to space group Fm-3m (No. 225); the cell edges are 7.295, 7.295 and 7.295 Å and the angles 90.00°, 90.00° and 90.00°. Symmetry generates all atoms from Li at (0.000, 0.000, 0.000), Er at (0.000, 0.000, 0.500) and Tl at (0.250, 0.250, 0.250).

Its total magnetization is 0.0 μB per cell. The calculation puts the distance to the lowest polymorph of the same formula at 2 meV/atom. For the total energy, the calculation gives -0.2279 Ry/atom. As for the energy relative to the elements: -6.89 kcal/mol of atoms.

- energy relative to the elements of number 1 (PrTh3Al8)?
  -9.81 kcal/mol of atoms

~~~~~
- - -

Here’s a fun biological fact: being anxious can actually make you a better driver. When we panic, on a biological level, it means that adrenaline is flooding through our system. One of the side effects of this – to go alongside the sweating palms and racing heartbeat – is that we become more vigilant.

Calculated crystals, kept here for reference.
=====
# 1
First-principles (PBE) data for a geometry-optimized Pm12Ge2Ir5 structure, as listed in the Alexandria database.

Output
* formation energy: -12.085 kcal/mol of atoms
* magnetic moment: 0.00 μB per cell

a b c (Å): 7.3011 8.9567 9.5686
angles (deg): 106.14 90.00 114.05
Fractional positions:
Pm: 0.4473 0.3707 0.1150
Pm: 0.9174 0.8349 0.2030
Pm: 0.0766 0.6293 0.8850
Pm: 0.5527 0.6293 0.8850
Pm: 0.0826 0.1651 0.7970
Pm: 0.5982 0.7083 0.4572
Pm: 0.8899 0.2917 0.5428
Pm: 0.5036 0.0073 0.7852
Pm: 0.4018 0.2917 0.5428
Pm: 0.9234 0.3707 0.1150
Pm: 0.1101 0.7083 0.4572
Pm: 0.4964 0.9927 0.2148
Ir: 0.3217 0.6433 0.1609
Ir: 0.2953 0.5907 0.6449
Ir: 0.6783 0.3567 0.8391
Ir: 0.0000 0.0000 0.5000
Ir: 0.7047 0.4093 0.3551
Ge: 0.8178 0.0000 0.0000
Ge: 0.1822 0.0000 0.0000


# 2
First-principles (PBE) data for a geometry-optimized La2CePN5 structure, as listed in the Alexandria database.

Output
* magnetic moment: 0.26 μB per cell

a b c (Å): 6.8282 6.8282 7.2653
angles (deg): 118.03 118.03 90.00
Site moments in Bohr magnetons follow the coordinates.
Fractional positions:
P: 0.7500 0.2500 0.5000  0.00
P: 0.2500 0.7500 0.5000  0.00
N: 0.2053 0.9783 0.6837  -0.02
N: 0.7053 0.2053 0.6837  -0.02
N: 0.5000 0.5000 0.0000  -0.03
N: 0.2947 0.7947 0.3163  -0.02
N: 0.7947 0.0217 0.3163  -0.02
N: 0.9783 0.4783 0.6837  -0.02
N: 0.0217 0.5217 0.3163  -0.02
N: 0.4783 0.7053 0.6837  -0.02
N: 0.0000 0.0000 0.0000  -0.03
N: 0.5217 0.2947 0.3163  -0.02
La: 0.1784 0.3216 0.0000  0.00
La: 0.6784 0.1784 0.0000  0.00
La: 0.8216 0.6784 0.0000  0.00
La: 0.3216 0.8216 0.0000  0.00
Ce: 0.2500 0.2500 0.5000  0.25
Ce: 0.7500 0.7500 0.5000  0.25


# 3
First-principles (PBE) data for a geometry-optimized CsIn2Au structure, as listed in the Alexandria database.

Output
* formation energy: 4.270 kcal/mol of atoms
* magnetic moment: 0.00 μB per cell

a b c (Å): 5.5639 5.5639 5.5639
angles (deg): 60.00 60.00 60.00
Fractional positions:
Au: 0.5000 0.5000 0.5000
In: 0.7500 0.7500 0.7500
In: 0.2500 0.2500 0.2500
Cs: 0.0000 0.0000 0.0000


Number 1: calculated total energy -120.505 eV for the cell shown. Number 2: calculated total energy -147.424 eV for the cell shown. Number 3: calculated total energy -8.867 eV for the cell shown.

* * * * *

[1]
This record from the Alexandria database describes Pr2BiPd9 after structural relaxation. The functional is GGA-PBE.

calculated total energy: -5.481 eV per atom
offset from the most stable computed form: 108.2 meV per atom
E_form: -0.467 eV per atom
space group: No. 166

abc: 9.5701 9.5701 9.5701
angles: 33.06 33.06 33.06
Element x y z (fractional)
Pr 0.1340 0.1340 0.1340
Pr 0.8660 0.8660 0.8660
Bi 0.0000 0.0000 0.0000
Pd 0.0830 0.5868 0.5868
Pd 0.3328 0.3328 0.3328
Pd 0.4132 0.4132 0.9170
Pd 0.4132 0.9170 0.4132
Pd 0.5000 0.5000 0.5000
Pd 0.5868 0.0830 0.5868
Pd 0.5868 0.5868 0.0830
Pd 0.6672 0.6672 0.6672
Pd 0.9170 0.4132 0.4132

=====

[2]
=====
Back to the article.

It seems pretty obvious that if you’re more vigilant when going into an exam for a practical skill that inherently requires vigilance, that’s pretty much a good thing! You can identify hazards faster and make sure you take appropriate measures where needed, for example.

Examiners Know The Difference Between Nerves and Bad Driving

One of the fundamental facts to remember is that examiners are empathetic, and they know the difference between a small mistake due to nerves and outright poor driving technique. They will keep this in mind through the test and so should you. A pass is still allowable if you make a few errors here and there, so if something happens, just try and push through it – your skill will out in the end.


[Images From: Flickr / PixaBay]